I do spend the next hour having some very dirty thoughts about her climbing me and riding me and commanding me to make her come around my cock. What we actually do is play with the kids and make play-dough, and that’s almost as good. When I finally have to drag myself away, I go with a kiss from Mel and a promise that I can come back and see her later.


Istill wake up alone. Something that never used to bother me and now feels like a great indignity. I roll over into the cold patch that should be hers and sigh. This really is the mate bond, isn’t it? I’m not crazy.

I’m staring into my morning coffee still trying to work it out when my phone rings. I grin.

“Mom, Dad! Hang on. Let me prop this up on something.”

I rest my phone on the side of my mug and adjust the screen so I can see the video. They look well. Dad’s right horn has been worn down and he wears a metal cap these days, but there are no cracks. Mom is a witch whose magic is focused through her textiles work and she’s always got a ball of yarn or a cross stitch or something in her hands. Today, she’s knitting a chunky pink and purple scarf with fat wooden needles.

“Hi, son. How are things? It’s been too long since last time we spoke.”

I nod and rub a hand over my face. Dad’s right. I should call them more often. Somehow they always seem to call me right when I need to speak to them, though. I’m sure Mom has something to do with that. “Yeah, not bad. I’ll be glad when the election’s over, though.”

“I bet.”

Mom pauses her knitting and lays a hand on Dad’s arm. “Jarra, is everything OK?”

“Yeah, well, not yet, but it will be. There’s actually something I need to ask you both.”

They share a worried look. I plow on. “You see, the campaign’s been really stressful and—”

“Oh, Jarra. We saw the news story.”

I stumble to a halt, tripping over my last few words at the look on Mom’s face. “The ... news ... story?” Oh. Fuck. I haven’t checked the news this morning. How could I not check the news this morning?

My phone buzzes and two messages come through at the same time. One from Stuart and the other from Mel. The notifications only pop up for a moment before they disappear behind the video call and I can’t read them.

“The hooker—”

Mom nudges Dad. “Zyphius, don’t call it that!”

Dad’s brow furrows. “Well what do they call themselves?”

Mom clears her throat. “Sex worker is the correct term these days.”

Oh fuck, no. Why am I having this conversation with my parents? I go straight into politician mode.

“Mom, Dad, I can assure you, the story was mistaken. Whatever you read, it’s just someone looking to sling mud before election day.”

Mom picks up her knitting again with a sniff. “There’s no need to lie to us, son. You’ve gotten far too good at lying to everyone else, but not to us, please.”

I open my mouth to double down, think better of it, and shake my head to clear my thoughts. “OK. Listen. Help me out. I haven’t read the story. What did it say?”

Mom gives a long-suffering sigh. “How about you just tell us if everything is OK?”

........
Starting from a crystal structure in Alexandria, relaxed with PBE+U, the powder XRD pattern of NaVP2O7 was calculated for Cu Kα, 1.54184 Å.

Atomic structure:
Cell lengths 4.9061, 8.3210, 7.1758 Å; angles 90.00, 106.85, 90.00 degrees
Fractional coordinates of all 22 atoms:
1 Na 0.2214 0.0000 0.2379
2 Na 0.7786 0.5000 0.7621
3 V 0.2213 0.5820 0.2325
4 V 0.7787 0.0820 0.7675
5 P 0.2298 0.8486 0.6154
6 P 0.3846 0.2779 0.9941
7 P 0.6154 0.7779 0.0059
8 P 0.7702 0.3486 0.3846
9 O 0.0289 0.3931 0.3183
10 O 0.1518 0.7471 0.4321
11 O 0.1578 0.1465 0.9537
12 O 0.2656 0.4471 0.9964
13 O 0.4063 0.9970 0.5914
14 O 0.4163 0.7687 0.1355
15 O 0.4314 0.7329 0.7829
16 O 0.5686 0.2329 0.2171
17 O 0.5837 0.2687 0.8645
18 O 0.5937 0.4970 0.4086
19 O 0.7344 0.9471 0.0036
20 O 0.8422 0.6465 0.0463
21 O 0.8482 0.2471 0.5679
22 O 0.9711 0.8931 0.6817

Peak list (8 most intense, 15 to 90 degrees two-theta, low angle first)
2θ 16.7, d = 5.297 Å, I = 71
2θ 21.7, d = 4.089 Å, I = 22
2θ 22.3, d = 3.983 Å, I = 51
2θ 25.9, d = 3.439 Å, I = 31
2θ 28.1, d = 3.177 Å, I = 59
2θ 29.1, d = 3.066 Å, I = 100
2θ 33.8, d = 2.649 Å, I = 24
2θ 42.8, d = 2.112 Å, I = 21

* * * * *

Record 1
Calculated PXRD pattern of Rb2NbAgCl6 for Cu Kα (λ = 1.5418 Å), from DFT lattice parameters and positions (GGA-PBE).

Main lines, by angle (5 to 70 degrees two-theta):
| d_spacing | 2θ/deg | intensity |
| --- | --- | --- |
| 5.190 | 17.08 | 15.9 |
| 3.670 | 24.25 | 100.0 |
| 2.996 | 29.82 | 13.8 |
| 2.595 | 34.56 | 73.5 |
| 2.321 | 38.80 | 6.5 |
| 2.119 | 42.67 | 44.4 |
| 1.835 | 49.69 | 48.3 |
| 1.641 | 56.03 | 20.5 |
| 1.498 | 61.94 | 15.9 |
| 1.387 | 67.53 | 23.0 |

Structural model:
```
data_Rb2NbAgCl6
_cell_length_a 10.3799
_cell_length_b 10.3799
_cell_length_c 10.3799
_cell_angle_alpha 90.00
_cell_angle_beta 90.00
_cell_angle_gamma 90.00
_space_group_name_H-M_alt 'F m -3 m'
_space_group_IT_number 225
_space_group_name_Hall '-F 4 2 3'
loop_
_atom_site_label
_atom_site_type_symbol
_atom_site_fract_x
_atom_site_fract_y
_atom_site_fract_z
_atom_site_occupancy
Rb1 Rb 0.2500 0.2500 0.2500 1
Nb1 Nb 0.0000 0.0000 0.0000 1
Ag1 Ag 0.0000 0.0000 0.5000 1
Cl1 Cl 0.0000 0.0000 0.2403 1
```



Record 2
Calculated PXRD pattern of KHoNO for Cu Kα (λ = 1.5418 Å), from DFT lattice parameters and positions (GGA-PBE).

Main lines, by angle (5 to 70 degrees two-theta):
| d_spacing | 2θ/deg | intensity |
| --- | --- | --- |
| 8.728 | 10.14 | 70.0 |
| 3.771 | 23.59 | 53.0 |
| 3.709 | 23.99 | 34.7 |
| 2.984 | 29.94 | 100.0 |
| 2.443 | 36.80 | 22.6 |
| 2.174 | 41.53 | 26.8 |
| 2.050 | 44.17 | 18.8 |
| 1.761 | 51.94 | 17.7 |
| 1.624 | 56.68 | 20.7 |
| 1.495 | 62.10 | 15.6 |

Structural model:
```
data_KHoNO
_cell_length_a 8.7277
_cell_length_b 7.5232
_cell_length_c 4.8853
_cell_angle_alpha 90.00
_cell_angle_beta 90.00
_cell_angle_gamma 90.00
_space_group_name_H-M_alt 'P b c m'
_space_group_IT_number 57
_space_group_name_Hall '-P 2c 2b'
loop_
_atom_site_label
_atom_site_type_symbol
_atom_site_fract_x
_atom_site_fract_y
........

I let my head fall forward into my hands for a moment while my brain tries to flood my mind with all the possible scenarios that could have led to a story about me and a sex worker breaking today. It has to be Mel. I mean, she’s the only sex worker I’ve seen for months. How unfair, given she’s technically no longer my sex worker. I thought Monstrous Deals were more trustworthy than that about protecting client privacy.

Then a horrible thought occurs to me. I never asked her if she had other clients. I assumed. She said she wasn’t really a dominatrix and I just assumed.

I should have asked her. I didn’t even consider that me not paying her probably means she needs money. Isn’t that why she started in the first place?

I’m a prime idiot.

“Listen, I was seeing a sex worker,” I blurt.

Dad’s face goes red and Mom knits faster, her hands a blur.